It’s time to choose
The time of the Great Awakening is upon us. This is the time in human history when we awaken to realize that Heaven on Earth is the Divine Design … and that we have been living in direct opposition to that design for centuries, if not millennia … and now it’s time to ‘course correct’.
‘The Matrix’ is a web of illusions … false ideas and distorted perceptions … that lead to war, disease, death and destruction … rather than to the Divine Blueprint of Heaven on Earth.
These distorted ideologies have kept humanity fighting against each other and the environment, destroying not only this grand and glorious planet, but our bodies as well.
The Earth and our Bodies are both designed, by Nature, to automatically re-balance, regenerate, rejuvenate and HEAL themselves.
‘Healing’ is the Divine Design. It happens naturally and automatically … but it can’t happen while we’re in ‘battle mode’.
The ‘Matrix’ is built on ‘battle mode’. It is designed to keep us fighting. Yet, ‘fighting’ is an aberration of Nature, rooted in fear. It causes war, death and destruction. It causes us to live in fear of being ’attacked’. The fear causes us to beLIEve that our human brothers and sisters are ‘enemies’ … and that the symptoms our bodies produce are ‘diseases’ that are ‘attacking’ our bodies. Life inside the Matrix has us fighting to survive … rather that really LIVING.
… As the Light Bringers, We did not embody at this time just to see if we could ‘survive’ a mundane life! We have come here to change the Game and to Restore the Divine Blueprint of Heaven on Earth!
Peace on Earth is the Divine Design. Heaven on Earth is what occurs NATURALLY, when we are living in alignment with Our True Nature. Peace occurs automatically when we are living in alignment with the Natural world. Peace allows us to THRIVE in all aspects of our lives. HEALING happens ONLY when we are at Peace within. Fear prevents healing.
Unfortunately, over the millennia, we have been persuaded to go against our True Nature. We have allowed ourselves to become convinced that life is a battlefield and that we have to fight for survival. Yet, nothing could be further from the Truth.
It’s imperative that we start SEEING the Truth.
When it comes to our Bodies,’battling disease’ and ‘healing’ … are NOT the same thing. In fact, they are mutually exclusive … and diametrically opposed. They cannot co-exist. We are either fighting a disease … OR we are healing. Period. There is a cognitive overlay that causes us to beLIEve that fighting leads to healing and freedom. It does not. It never has and never will.
Battling’ has never solved anything. All the battles in human history have not generated Peace.
They have only lead to ‘MORE’ … ‘bigger’ and ‘better’ battles with more advanced and expensive weaponry.
‘Fighting diseases’ has not generated health. It has only lead to more ‘diseases’ with more advanced ‘weaponry’ to fight the symptoms that our bodies produce.
Calculated crystals that have nothing to do with the text:
-- begin --
Record 1
# TiPb3
Simulated powder XRD pattern, Cu Kα. Input: a structure optimized by DFT (GGA-PBE).

Structural model:
Cell lengths 5.8427, 6.5287, 6.5383 Å; angles 60.05, 89.85, 89.95 degrees
Atoms (fractional coordinates):
Ti1 0.2455 0.3333 0.3334
Ti2 0.7545 0.6667 0.6666
Pb1 0.2502 0.8283 0.8290
Pb2 0.2508 0.3422 0.8295
Pb3 0.2506 0.8287 0.3425
Pb4 0.7494 0.1713 0.6575
Pb5 0.7492 0.6578 0.1705
Pb6 0.7498 0.1717 0.1710

Top 8 peaks for 10 to 80 degrees two-theta, sorted by position:
d = 4.065 Å, 21.86 deg, intensity 25, (1 1 1)
d = 2.921 Å, 30.60 deg, intensity 39, (2 0 0)
d = 2.830 Å, 31.62 deg, intensity 27, (0 2 0)
d = 2.547 Å, 35.23 deg, intensity 100, (1 0 2)
d = 2.544 Å, 35.28 deg, intensity 20, (-1 2 2)
d = 1.634 Å, 56.31 deg, intensity 21, (0 2 4)
d = 1.606 Å, 57.39 deg, intensity 15, (3 0 2)
d = 1.425 Å, 65.50 deg, intensity 18, (2 2 -2)



Record 2
# Ge
Simulated powder XRD pattern, Cu Kα. Input: a structure optimized by DFT (GGA-PBE).

Structural model:
Cell lengths 4.2838, 4.2838, 4.2838 Å; angles 90.00, 90.00, 90.00 degrees
Atoms (fractional coordinates):
Ge1 0.0000 0.0000 0.0000
Ge2 0.0000 0.5000 0.5000
Ge3 0.5000 0.0000 0.5000
Ge4 0.5000 0.5000 0.0000

Top 5 peaks for 10 to 80 degrees two-theta, sorted by position:
d = 2.473 Å, 36.32 deg, intensity 100, (1 1 1)
d = 2.142 Å, 42.19 deg, intensity 49, (2 0 0)
d = 1.515 Å, 61.20 deg, intensity 32, (2 2 0)
d = 1.292 Å, 73.29 deg, intensity 37, (3 1 1)
d = 1.237 Å, 77.13 deg, intensity 11, (2 2 2)



Copy entry 1 word for word.
# TiPb3
Simulated powder XRD pattern, Cu Kα. Input: a structure optimized by DFT (GGA-PBE).

Structural model:
Cell lengths 5.8427, 6.5287, 6.5383 Å; angles 60.05, 89.85, 89.95 degrees
Atoms (fractional coordinates):
Ti1 0.2455 0.3333 0.3334
Ti2 0.7545 0.6667 0.6666
Pb1 0.2502 0.8283 0.8290
Pb2 0.2508 0.3422 0.8295
Pb3 0.2506 0.8287 0.3425
Pb4 0.7494 0.1713 0.6575
Pb5 0.7492 0.6578 0.1705
Pb6 0.7498 0.1717 0.1710

Top 8 peaks for 10 to 80 degrees two-theta, sorted by position:
d = 4.065 Å, 21.86 deg, intensity 25, (1 1 1)
d = 2.921 Å, 30.60 deg, intensity 39, (2 0 0)
d = 2.830 Å, 31.62 deg, intensity 27, (0 2 0)
d = 2.547 Å, 35.23 deg, intensity 100, (1 0 2)
d = 2.544 Å, 35.28 deg, intensity 20, (-1 2 2)
d = 1.634 Å, 56.31 deg, intensity 21, (0 2 4)
d = 1.606 Å, 57.39 deg, intensity 15, (3 0 2)
d = 1.425 Å, 65.50 deg, intensity 18, (2 2 -2)

=====

Entry 1:
This entry pairs a crystal structure of Ac6Sm5Y2 with its simulated XRD peak list. Radiation: Cu Ka. Structure: a structure optimized by DFT (PBE).
Peak positions follow from Bragg's law for the DFT cell and can differ from measured ones.

Structure:
abc: 11.406 23.927 3.760
angles: 90.00 90.00 90.00
Space group Pbam (No. 55)
One atom of each set of equivalent atoms:
Ac 0.021 0.113 0.000 (multiplicity 4)
Ac 0.146 0.386 0.000 (multiplicity 4)
Ac 0.165 0.633 0.500 (multiplicity 4)
Sm 0.000 0.500 0.500 (multiplicity 2)
Sm 0.086 0.250 0.500 (multiplicity 4)
Sm 0.164 0.996 0.500 (multiplicity 4)
-- stop --
The calculated crystals stop here:
We are living in what is arguably the ‘sickest’ society in human history.
Why is it like this?
Unfortunately there is HUGE money to be made in both the military and pharmaceutical industries, and the ones who own those industries are not about to give up their chosen means of income … no matter how many lives are lost along the way.
‘Profit over People’ is the unspoken battlecry of these industries …. and WE are the ‘people’ whose lives are at stake. It’s up to Us to remove ourselves from harm’s way.
We have to learn how to get our Bodies to HEAL THEMSELVES. We have to learn the Divine Blueprint. We have to SEE how ‘disease’ is generated by our bodies, WHY it is generated, HOW it is serving us (because it IS) … and how the HEALING occurs Naturally … without medical interference. Once we inner stand this natural cycle, we can start working WITH our True Nature … rather than battling against it.
Once we know how to heal our own bodies … we become empowered … and we remove ourselves from danger. We stop relying on other people to heal us, as we now know how to do it ourselves. We stop engaging in the ‘battle’ with ‘diseases’. We stop being victims of these ‘wars’ … and We become the CREATORS of both INNER Peace and Peace on Earth.
When we learn how to stop engaging in the battles, the battles will cease ... and TRUE HEALING will occur.
When we stop battling the ‘enemy’ … we discover that the ‘enemies’ are simply other innocent humans … just like us … who really just want to live in Peace. We begin to see that the ‘enemy’ is the illusion … that causes us to see ‘danger’ where there needn’t be any.
When we stop battling ‘diseases’ … we see that there was no ‘disease’ … that those symptoms were our own Bodies trying to protect us. Then we stop fearing our bodies … and learn to LOVE them instead.
2023 is here.
Which path will you choose?
Will you remain in the Matrix, battling for survival?
… or will You step away … into True Healing … and start creating (and experiencing!) Heaven on Earth?
The choice is yours. The matrix is collapsing, so be sure to choose wisely!
If you are not sure how to step away from the ‘medical matrix’ … this is my specialty!
Please reach out, as there are many ways in which I can assist you.
Wishing You Heaven on Earth in 2023! Cheers!